Thomson Reuters (TR) has confirmed that the AI-Assisted Research tool that Stanford HAI tested for accuracy ‘leverages innovation in Casetext’. This matters because TR paid $650m for the company – and the study showed the genAI tool generated high levels of hallucinations. They have also finally answered other key questions put to them by Artificial Lawyer (see Q&A below).
This is what they said on Thursday evening (June 13):
‘AI-Assisted Research had already been in development before the acquisition of Casetext’s CoCounsel. It leverages innovation in Casetext using a “best of” approach across product development.’
Later this evening (Friday, June 14), TR also sent some additional comments, which this site has included here:
‘None of the technology in Casetext’s CoCounsel is part of AI-Assisted Research, so it was not tested or a component of the research from Stanford. As to the “best of” approach, that is part of the Thomson Reuters Generative AI Platform – a common development platform that enables Thomson Reuters to design, build, and deploy reusable GenAI components that become the building blocks for future skills and products.’
However, after speaking to TR about this tonight they confirmed that: ‘Innovations from Casetext are in AI-AR through the Generative AI platform, however, CoCounsel is not.’ (I.e. the original Casetext CoCounsel from 2023).
But, this may all be a moot point, as TR then went on to explain (AL’s italics) to this site that now: ‘There is no genAI case law product called CoCounsel anymore. CoCounsel as acquired [when TR bought Casetext] doesn’t exist any longer.’
‘And, CoCounsel Core [the new legal genAI assistant] does not include case law research. So if you want genAI case law research, then you have to use AI AR.’
And it was AI AR that Stanford studied.
I.e. we are back to the beginning to some degree when it comes to genAI and case law research, in that if you want to use the genAI case law research ability with Westlaw, then you should use AI AR, which as TR has noted ‘leverages innovations in Casetext’.
One further point that TR’s spokesperson stressed is that as things currently stand, the Casetext team of engineers that came with the acquisition, and TR’s engineers that are working on genAI, are all blended together. So, their output of genAI ideas and innovations, which flows through the Thomson Reuters Generative AI Platform, are blended together as well.
Why does this matter? The Stanford HAI study found that the AI Assisted Research (AI-AR) tool for Westlaw had an accuracy rate of only 42% and an overall hallucination rate of 33% – see study. Meanwhile TR told this site it reached ‘approximately 90%’ accuracy.

TR completed its $0.65 billion acquisition of Casetext in August 2023, long before the Stanford tests were conducted in late Spring of this year. So, understandably, the legal tech community wanted to know if Casetext had contributed to the tool that was tested in any way and had – according to the Stanford HAI study – resulted in a low accuracy score. And the answer is: yes, it was, because ‘AI-Assisted Research…leverages innovation in Casetext using a “best of” approach across product development’.
And, as noted above: ‘There is no genAI case law product called CoCounsel anymore….So if you want genAI case law research, then you have to use AI AR.’
So, while it may well be correct to say that ‘CoCounsel’ for case law research as it arrived from Casetext is ‘not part’ of AI AR, it’s very hard to entirely separate all of Casetext’s innovations and their team’s ideas that were fed into TR after the acquisition.
This site is glad that this has been answered and then further added to, now onto the main Q&A, which TR sent to this site on Thursday evening. This covers issues such as: ‘is 90% accuracy good enough?’, testing methodologies, benchmarking, and other key issues.
How is TR testing for accuracy? How is it testing for hallucinations? How different is the methodology of TR and Stanford HAI?
At Thomson Reuters, we test and score the end-to-end solution across a variety of dimensions, helpfulness of the answers, comprehensiveness on the issue, relevance to the question asked, etc. Prior to releasing new products, and once they are released, we test rigorously with hundreds of real-world legal research questions, where two lawyers graded each result, and a third, more senior lawyer, resolved any disagreements in grading.
We also test with customers prior to release. In our testing their feedback was extraordinarily positive
As for difference in methodology, the biggest differences are that we only test with real-world the type of legal research questions our customers face every day, and we look at the overall helpfulness of answers, and the potential harm of inaccuracies.
It would appear that TR believes Stanford HAI is wrong in its conclusions. Could you please comment on that. I.e. you welcome their study, but you suggest they are wrong.
While we agree with the spirit of the study, we were quite surprised when we saw the results of the Stanford research team’s review. Our testing shows approximately 90% accuracy when the solutions is measured using the type of questions our customer ask. In partnership with our customers, we continue to improve our solutions as the technology evolves.
It’s clear that Casetext is a core part of the genAI products that were tested. Can you please explain exactly what ‘AI-Assisted Research within Westlaw Precision’ is and where Casetext (and CoCounsel) fits into this?
It provides relevant answers to research questions with links to trusted Westlaw authority. AI-Assisted Research had already been in development before the acquisition of Casetext’s CoCounsel.
We are taking a “best of” approach across product development to build on the expertise of our combined teams – generative AI experts, data scientists, software engineers, product developers and more – to deliver industry-leading technology and solutions that will help our customers accelerate legal research and drafting.
CoCounsel, is the brand name for Thomson Reuters single GenAI assistant. It will become the one interface for our customers to access all our solutions. CoCounsel Core is the updated offering of what was Casetext’s CoCounsel.
<<<
Record 1
This record from Alexandria describes a relaxed Pm2CoAu crystal. The functional is PBE-GGA.

Summary:
Electronic total energy (eV/cell): -21.40

Cell: 3.5310 3.5310 7.3461 Å, 90.00 90.00 90.00°
Element x y z (fractional)
1 Pm 0.0000 0.0000 0.2313
2 Pm 0.0000 0.0000 0.7687
3 Co 0.5000 0.5000 0.0000
4 Au 0.5000 0.5000 0.5000

Record 2
This record from Alexandria describes a relaxed Pm4CoAu crystal. The functional is PBE-GGA.

Summary:
Electronic total energy (eV/cell): -62.17

Cell: 8.1860 8.1860 6.2228 Å, 105.36 105.36 115.06°
Element x y z (fractional)
1 Pm 0.0631 0.6960 0.9107
2 Pm 0.2121 0.3392 0.6870
3 Pm 0.3040 0.9369 0.5893
4 Pm 0.3392 0.2121 0.1870
5 Pm 0.6608 0.7879 0.8130
6 Pm 0.6960 0.0631 0.4107
7 Pm 0.7879 0.6608 0.3130
8 Pm 0.9369 0.3040 0.0893
9 Co 0.0045 0.9955 0.7500
10 Co 0.9955 0.0045 0.2500
11 Au 0.3736 0.6264 0.2500
12 Au 0.6264 0.3736 0.7500

Record 3
This record from Alexandria describes a relaxed Pm12CoAu6 crystal. The functional is PBE-GGA.

Summary:
Electronic total energy (eV/cell): -91.52

Cell: 8.4793 8.4793 8.4793 Å, 98.19 98.19 98.19°
Element x y z (fractional)
1 Pm 0.0258 0.9388 0.6867
2 Pm 0.0612 0.3133 0.9742
3 Pm 0.1850 0.5770 0.4263
4 Pm 0.3133 0.9742 0.0612
5 Pm 0.4230 0.5737 0.8150
6 Pm 0.4263 0.1850 0.5770
7 Pm 0.5737 0.8150 0.4230
8 Pm 0.5770 0.4263 0.1850
9 Pm 0.6867 0.0258 0.9388
10 Pm 0.8150 0.4230 0.5737
11 Pm 0.9388 0.6867 0.0258
12 Pm 0.9742 0.0612 0.3133
13 Co 0.0000 0.0000 0.0000
14 Au 0.1298 0.3068 0.6316
15 Au 0.3068 0.6316 0.1298
16 Au 0.3684 0.8702 0.6932
17 Au 0.6316 0.1298 0.3068
18 Au 0.6932 0.3684 0.8702
19 Au 0.8702 0.6932 0.3684

Record 4
This record from Alexandria describes a relaxed Pm3CoAu crystal. The functional is PBE-GGA.

Summary:
Electronic total energy (eV/cell): -52.95

Cell: 8.3978 3.8807 8.5047 Å, 90.00 108.93 90.00°
Element x y z (fractional)
1 Pm 0.0539 0.2500 0.2386
2 Pm 0.3181 0.2500 0.9662
3 Pm 0.3317 0.7500 0.6046
4 Pm 0.6683 0.2500 0.3954
5 Pm 0.6819 0.7500 0.0338
6 Pm 0.9461 0.7500 0.7614
7 Co 0.0612 0.2500 0.5745
8 Co 0.9388 0.7500 0.4255
9 Au 0.3558 0.7500 0.2451
10 Au 0.6442 0.2500 0.7549

Record 5
This record from Alexandria describes a relaxed Pm3Pr3CoAu2 crystal. The functional is PBE-GGA.

Summary:
Electronic total energy (eV/cell): -45.49

Cell: 8.6164 8.6164 3.8608 Å, 90.00 90.00 120.00°
Element x y z (fractional)
1 Pm 0.0000 0.7668 0.0000
2 Pm 0.2332 0.2332 0.0000
3 Pm 0.7668 0.0000 0.0000
4 Pr 0.0000 0.4150 0.5000
5 Pr 0.4150 0.0000 0.5000
6 Pr 0.5850 0.5850 0.5000
7 Co 0.0000 0.0000 0.5000
8 Au 0.3333 0.6667 0.0000
9 Au 0.6667 0.3333 0.0000

Record 6
This record from Alexandria describes a relaxed PmPuCoAu crystal. The functional is PBE-GGA.

Summary:
Electronic total energy (eV/cell): -30.14

Cell: 5.0184 5.0184 5.0184 Å, 60.00 60.00 60.00°
Element x y z (fractional)
1 Pm 0.0000 0.0000 0.0000
2 Pu 0.5000 0.5000 0.5000
3 Co 0.7500 0.7500 0.7500
4 Au 0.2500 0.2500 0.2500

Record 7
>>>
_End of the records of crystals_
[ And as noted above, they later said: ‘AI-Assisted Research had already been in development before the acquisition of Casetext’s CoCounsel. It leverages innovation in Casetext using a “best of” approach across product development.’ ]
Is 90% accuracy ‘good enough’? You say that AI is there to help lawyers find the answers, but not replace them, but if a product is wrong, doesn’t this make matters worse?
Our thorough internal testing of AI-Assisted Research shows an accuracy rate of approximately 90% based on how our customers use it. We’ve shared on our website and in training that AI is an accelerant for thorough research, not a replacement, being very clear with customers that the product can produce inaccuracies. Also, often inaccuracies in answers appear alongside the right answer. Hallucination rates without this examination imply entirely wrong answers, but in our testing, when we do see inaccuracies, they frequently appear alongside the right answer to the question. However, even when inaccuracies appear, reviewing the primary law and using tools like KeyCite or statutes annotations, inaccurate answers can typically be identified and mitigated quickly.
When used as designed Westlaw’s AI-Assisted Research helps legal researchers do their work both faster and better, even with occasional errors as they are not inaccuracies that would be harmful to practitioners running real-world legal research. We tell our customers the answers are generated by AI, and that they need to verify them by checking the primary law, and if there are any errors, that primary law (and further standard research checks, reviewing KeyCite flags, and statute annotations, etc.) would reveal them.
We accept that 90% isn’t the end goal. And we’re continuing to work to get better each day. However, until technology advances, when working with LLMs there will always be the potential for inaccuracies.
The previous statement by Mike Dahn doesn’t really go into details about hallucinations. It instead generally focuses on ‘accuracy’. Can TR remove hallucinations from its products, e.g. via RAG or other methods? And are hallucinations riskier for users than a product just being ‘inaccurate’?
We have traditionally tested for and termed hallucinations to be fabrications by the system. We rarely see our definition of hallucinations (or fabrications) in Westlaw AI-Assisted Research, in part, because our systems are close-looped and only source answers from TR’s richly enhanced content. This data is supported by more than 1,600 attorneys who continue to annotate the law, create digests, and build the West Key Number System taxonomy to organize the law in a way that supports the AI to deliver the right answers.
But, while these models can be incredibly powerful for legal research, they all hallucinate, even when techniques such as Retrieval Augmented Generation are used. However, neither hallucinations, a particular type or subset of inaccuracies, nor other types of inaccuracies have much risk of harm when primary sources are reviewed as part of a standard research process.
Where do things go from here? Will TR be more open about how it performs tests, e.g. publish those tests? Will you work with Stanford again?
As mentioned in our recent blog, Thomson Reuters is committed to transparency, and exploring the creation of a consortium of stakeholders to work together to develop and maintain industry standard benchmarks across a range of legal use cases. And we are already making progress, talks are in the early stages, but we are hopeful we can find a way to work together with Stanford, amongst others, on this important opportunity.
And finally, do you believe there should be sector-wide standards for genAI tools in legal and if so, would TR be interested in helping to create these standards?
In short, yes. We are very supportive of efforts to test and benchmark legal research solutions. Thomson Reuters is in early discussions with legal tech firms, law firms, academic researchers – including Stanford – to form a consortium to develop benchmarking for AI solutions. By working together, we can develop and maintain state-of-the-art benchmarks across a range of legal use cases.
[ Note: LexisNexis also told this site yesterday that they are happy to work with others, including Thomson Reuters, to build benchmarks. Let’s see where this consortium idea gets to.]
As noted before, the publicly listed tech and data company wants to draw a line under this and move on. And the responses, and then the additional responses this evening, do help. So, thanks to Thomson Reuters for those. But, more clarity from day one here would have helped a lot.